Three Meditations

Three Meditations

Easter Time
Pastor Mitch Coggin April 24, 2022 Easter 2C

Holding On to Dear Life

The Easter hymn, “Thine is the Glory”, is often used in Easter church services involving the British Royal family. It was also played during a service of thanksgiving in commemoration of Queen Elizabeth II’s 80th birthday. The tune was originally written by the German-British composer George Frideric Handel.

One-hundred and forty years later, Swiss Protestant minister, Edmond Budry wrote this hymn using Handel’s well-known tune. All we initially know about Budry was that he was born near Lausanne, Switzerland. He went to seminary and became a pastor in two Free Churches on the shores of Lake Geneva, Switzerland and then moved to another church nearby where he remained until his retirement 35 years later. Very little is known about Budry and why he may have written this powerful hymn except a brief notation on a hymn site which provided the only clue.

In 1884, early in Budry’s ministry when he was 30 years old, he wrote the hymn to honor the recent death of his wife. Budry was reminded that death was not the end and Jesus’ resurrection provided hope for us in our own death and despair. Because of Christ’s resurrection. Budry wrote “endless is the victory thou o’er death has won,” which refers to that first Easter day, when the disciples were in utter despair and grief at the loss of their Lord. Budry promises, “Lovingly, He greets us. Scatters fear and gloom.”

That indeed happened. The disciples were locked in a room because they were afraid for their own lives and future. The risen Jesus appeared to them with the greeting, “Peace be with you.” His greeting communicated courage and hope, just as he had said earlier, “Peace I leave with you; my peace I give to you.”

Jesus showed them his hands and side. The disciples were overjoyed at his presence and Jesus repeated, “Peace be with you!” adding “As the Father has sent me, I am sending you.” Jesus reminded them of the Presence of the Holy Spirit and then gave them a charge, “If you forgive anyone’s sins, their sins are forgiven; if you do not forgive them, they are not forgiven.”

Jesus clarified to the disciples that they still had work to do, the work of grace. Easter is a call to us as well to leave behind our despair over death and discouragement. As Budry wrote and as we sang, Thine is the glory Risen conquering Son Endless is the victory Thou o’er death hast won Hallelujah, Amen

For What Shall We Pray?

In 1922, a pastor had charges brought against him in the Presbyterian Church. This pastor challenged the conventions of the church. He preached that the gospel was broader and more inclusive. When this pastor went against tradition, opponents in the church asked the denomination to correct and rebuke this preacher. That pastor was Harry Emerson Fosdick, who preached for six years at the newly formed First Presbyterian Church that combined three different Presbyterian congregations in midtown New York.

Harry Emerson Fosdick was actually a Baptist pastor and professor of practical theology at Union Theological Seminary in New York City. He continued to preach at the Presbyterian Church until 1925, surviving the controversies. He was then approached by John D. Rockefeller, Jr. to become the pastor of Park Avenue Baptist Church. He declined for two reasons: the church restricted membership to persons who were baptized by immersion and he was unwilling to be pastor under such a restriction. The second reason was that the church was in one of the wealthiest residential areas of the city and the congregation was made up of financially privileged people.

After much negotiation and to Fosdick’s surprise, the Park Avenue congregation agreed to open the church to all Christians on equal terms and would build a new and ample building, the Riverside Church, equipped for community service in a more diverse neighbourhood. The church building was completed in October of 1930.

As the church was being constructed, people would say, “Oh, this new church will be wonderful.” To which Fosdick replied in a sermon, “My friends, it is not settled yet whether or not the new church will be wonderful. That depends on what we do with it. If we should gather [only for ourselves]—though the walls bulged every Sunday with the congregation—that would not be wonderful…But if in this city, this glorious and wretched city…if we could lift some burdens and lighten some dark spots and help to solve the problems of some communities, that would be wonderful.”

Harry Emerson Fosdick wrote our second hymn, “God of Grace and God of Glory” for the formal dedication of the building on February 8, 1931. Fosdick writes in his autobiography that the song “was more than a hymn to me when we sang it that day—it was a very urgent personal prayer. For with all my hopeful enthusiasm about the new venture there was inevitably much humble and sometimes fearful apprehension.”

This hymn is a prayer—a prayer for God to bestow power upon the church and wisdom and courage “for the facing of this hour.” The hour they were facing at that time was the Great Depression, an economic disaster that drained the nation of life and hope. Does that sound familiar?

“Save us from weak resignation” is an important part of the prayer. We are always tempted to believe that the problems that we face far outweigh our resources to deal with them. We are tempted to retreat into a safe place and wait for the storm to blow over. This hymn is fundamentally a plea for God’s help.

Undoubtedly Fosdick knew of Solomon’s prayer, “Give your servant therefore an understanding mind to govern your people, able to discern between good and evil; for who can govern this your great people?”

Attached: crystal structures:
'''
Record 1
Diffraction record for Li2TiFeO4. The PXRD pattern is calculated, not measured: it uses a crystal structure in the Materials Project, relaxed with PBE+U and Cu Kα, 1.54184 Å.
Neutral-atom scattering factors, no anomalous dispersion.

Most intense lines, 2θ = 10–80°, in order of falling intensity:
2θ/deg	I_rel
18.11	100
17.95	100
42.51	57
42.16	57
42.62	56
61.39	46
34.87	35
61.50	30
34.78	29
35.12	22

Cell and atoms:
```
data_Li2TiFeO4
_chemical_formula_sum 'Li8 Ti4 Fe4 O16'
_space_group_name_H-M_alt 'P 1'
_space_group_IT_number 1
_cell_length_a 6.039
_cell_length_b 6.039
_cell_length_c 8.486
_cell_angle_alpha 90.52
_cell_angle_beta 90.49
_cell_angle_gamma 90.44
loop_
_space_group_symop_operation_xyz
'x,y,z'
loop_
_atom_site_label
_atom_site_fract_x
_atom_site_fract_y
_atom_site_fract_z
Li1 0.000 0.000 0.000
Li2 0.002 0.493 0.502
Li3 0.244 0.246 0.750
Li4 0.250 0.740 0.749
Li5 0.499 0.497 0.497
Li6 0.503 0.993 0.002
Li7 0.747 0.746 0.253
Li8 0.750 0.241 0.249
Ti1 0.250 0.746 0.250
Ti2 0.498 0.993 0.502
Ti3 0.741 0.251 0.751
Ti4 0.992 0.503 0.001
Fe1 0.245 0.247 0.252
Fe2 0.493 0.493 0.003
Fe3 0.749 0.750 0.749
Fe4 0.997 0.998 0.500
O1 0.005 0.512 0.237
O2 0.014 0.975 0.256
O3 0.227 0.739 0.011
O4 0.230 0.271 0.007
O5 0.262 0.756 0.490
O6 0.269 0.230 0.496
O7 0.475 0.521 0.252
O8 0.487 0.982 0.262
O9 0.504 0.016 0.740
O10 0.522 0.485 0.752
O11 0.722 0.768 0.500
O12 0.731 0.239 0.515
O13 0.759 0.722 0.001
O14 0.764 0.254 0.989
O15 0.972 0.012 0.745
O16 0.989 0.479 0.763
```

Record 2
Diffraction record for Li2TiFeO4. The PXRD pattern is calculated, not measured: it uses a crystal structure in the Materials Project, relaxed with PBE+U and Cu Kα, 1.54184 Å.
Neutral-atom scattering factors, no anomalous dispersion.

Most intense lines, 2θ = 10–80°, in order of falling intensity:
2θ/deg	I_rel
22.74	100
40.98	68
41.87	65
45.21	55
25.72	52
25.51	27
21.19	23
32.68	20
36.87	18
60.29	17

Cell and atoms:
```
data_Li2TiFeO4
_chemical_formula_sum 'Li8 Ti4 Fe4 O16'
_space_group_name_H-M_alt 'P 1'
_space_group_IT_number 1
_cell_length_a 5.882
_cell_length_b 5.902
_cell_length_c 9.278
_cell_angle_alpha 89.13
_cell_angle_beta 71.72
_cell_angle_gamma 85.81
loop_
_space_group_symop_operation_xyz
'x,y,z'
loop_
_atom_site_label
_atom_site_fract_x
_atom_site_fract_y
_atom_site_fract_z
Li1 0.000 0.000 0.000
Li2 0.097 0.235 0.287
Li3 0.243 0.494 0.505
Li4 0.393 0.757 0.724
Li5 0.500 0.499 0.001
Li6 0.597 0.735 0.286
Li7 0.743 0.994 0.504
Li8 0.891 0.255 0.724
Ti1 0.108 0.711 0.259
Ti2 0.393 0.274 0.745
Ti3 0.613 0.215 0.256
Ti4 0.891 0.776 0.745
Fe1 0.243 0.995 0.505
Fe2 0.488 0.993 0.008
Fe3 0.743 0.495 0.505
Fe4 0.997 0.497 0.000
O1 0.103 0.982 0.755
O2 0.120 0.491 0.749
O3 0.213 0.740 0.047
O4 0.266 0.234 0.962
O5 0.360 0.503 0.265
O6 0.384 0.009 0.253
O7 0.491 0.245 0.510
O8 0.493 0.745 0.505
O9 0.603 0.482 0.755
O10 0.624 0.992 0.744
O11 0.731 0.255 0.046
O12 0.754 0.746 0.961
O13 0.860 0.003 0.265
O14 0.881 0.506 0.256
O15 0.991 0.745 0.508
'''
Back to the piece:

God validated Solomon because he has asked for himself “understanding to discern what is right.” God promised Solomon, “I now do according to your word. Indeed, I give you a wise and discerning mind…”

The story of the church throughout history is the story of controversy and frustration and sometimes failure along the way. AND the story of the church is the story of God accompanying God’s people through all of that. The story of the church is the story of God’s faithfulness and how God created us to live together. As Fosdick preached, “if we could lift some burdens and lighten some dark spots and help to solve the problems of some communities, that would be wonderful.”

And in the living of these days – in OUR living of these days, may God crown the ancient church’s story with God’s grace and God’s glory, serving thee whom we adore.

When Grace Makes Way for Peace

In today’s final reading we heard the passage from Isaiah often referred to as the Peaceable Kingdom: “No more shall be heard weeping and the cry of distress…” writes Isaiah. “The wolf shall live with the lamb…The cow and the bear shall graze, their young shall lie down together and a little child shall lead them. They shall not hurt or destroy in all my holy mountain.” There is a sense of deep contentment among all creation in which former predators become playmates.

Isaiah envisions a new world. He points us to a world in which creation is at peace, in which injustice and poverty are unknown; where the stranger and outcast are welcomed, and where death and sorrow are no more. Isaiah’s descriptions paint a picture of how things were meant to be. And yet, when we look at our world today, the kingdom of which Isaiah wrote seems nothing but a fairy tale.

Do we read the newspaper and give up on Isaiah’s vision declaring it impossible? Perhaps the realist in us may counter that such a vision is pure fantasy, and it might be. Still, the vision of prey and predator at peace offers us a counter-vision to much of human life. In a world where so many live in fear and worry, such a vision is hopeful.

We sing about it in our final hymn of the morning which was written by Dr. Carl Daw, Jr., the former executive director of the Hymn Society in the United States and Canada and now professor of church music at Perkins School of Theology at Southern Methodist University. Dr. Daw brings his devotion of the church from his years as an Episcopal rector at several congregations in the States.

O Day of Peace that Dimly Shines reflects our challenges of making a reality in our world of the peaceable kingdom. Even with our “hopes, prayers and dreams” as Dr. Daw envisions, our own selfish schemes, our swords of hate and our hearts of envy block us from the realization of justice, truth and love.

Dr. Daw explains his purpose in writing this hymn as, “This hymn deals with two aspects of peace: pax, an understanding of peace based on the cessation of conflict, and shalom, the condition of living in harmony and goodwill. Peace is always God’s gift, but it recognizes the importance of human responsibility in preparing an environment in which peace can flourish.”

How do we work toward God’s vision of a peaceable kingdom? Perhaps we can see this ancient scripture and this recent hymn as an invitation to join with God in transformative ventures, working toward peace and justice and righteousness, and do so by starting both at home and in the church. We are called to pray for God’s grace that the hope of peace be fulfilled within us and work toward that reality in our thoughts, our behaviours and our attitudes toward one another. In that way we become active participants in helping our world come to know the Lord.